Today I turn 50! In so many ways it just seem possible. Remember when you were younger and 40 seemed so old. I don't feel old. Creaky every once and a while, but not old.

I remember the day I turned 40. I went out to lunch with Joe and my mom all while the kids were in school. At the time they were 16,13 and 10. That feels like so long ago. As I look back on my 40s, I see so many milestones, blessings and struggles we had.

In ten years all three of my kids have learned to drive, finished or started and finished braces. Two have graduated from college and also gotten married. One is working but searching for a job in her degree. The other went off to Ireland to get her DVM or doctor of veterinary medicine. The last is still figuring it all out.

I spent a year studying for and earning my Certificate in Geriatric Pharmacy. Then I spent the next year studying for and earning my Certificate in Youth Ministry. I knew something was coming at us and I knew it was going to be bad. I knew these two certificates were critical to my/our future but I didn't know how or which would be my primary job and which my secondary.

Four years ago it all coming crashing down around us. Joe came home early one day and said he lost his job. We started working on his resumes while also going to the doctor. We had been to our primary twice already saying something was going on but both times he did well on the testing in the office. After losing his job he was started on medication for adult onset ADHD and referred to a Neurologist. Meanwhile he went to apply for a job in Boston and got completely lost and spent two hours walking around trying to find where he parked the car. Then we received the news that my store was closing. It had been sold and we only had a few months left. Liz was graduating college and off to Ireland for Vet medicine. Nothing felt stable. I was rapidly working on finances and applying for Joe for unemployment. I was searching for a job as well as pushing out his resumes.

In this time my temp job at MCPHS called and asked me to apply for a part time position. I started that and continued resumes. The day of the Neurology visit came and as we walked into the office the conversation in my head was "We don't belong here. He is not that bad". An hour later, struggling not to cry, the conversation was different "How did I not know how bad he is"

Testing started and we went searching for the cause. Meanwhile I accidentally came across three job opportunities in Youth Ministry. On a whim, I spent an hour creating a resume and cover letter and before I could think too long about it emailed them out. That was on a Wednesday. Friday one of them called and asked me to come Mondayfor an interview. Out of the three Youth Ministry jobs this really wasn't the one I wanted. For the heck of it I went to the interview.

Before the second interview Joe was diagnosed with Alzheimers. The night of the interview it was pouring rain. Before the interview I went to the police station to file a report against Joe, as he was searching hard to get a gun permit and gun. This what totally not something I ever thought I would have to do.

Unrelated to this page: data records >
┌──
[1]
{
  "formula": "CH5S2",
  "method": "wB97M-V/def2-TZVPD",
  "elements": ["S", "S", "C", "H", "H", "H", "H", "H"],
  "xyz": [[2.388, 0.772, 2.382], [-1.619, 0.629, -0.107], [-0.514, -0.491, -1.027], [-1.012, 0.527, 1.072], [-1.037, -1.414, -1.273], [0.302, -0.783, -0.377], [1.670, 0.737, 1.245], [-0.179, 0.023, -1.915]],
  "nbo_charge": [-1.057, -0.104, -0.727, 0.162, 0.199, 0.252, 0.066, 0.210],
  "e_above_lowest_ev": 0.304,
  "homo_ev": -2.5,
  "homo_lumo_gap_ha": 0.216,
  "total_charge": -1,
  "e_tot_ha": -837.4915,
  "largest_force_ev_per_a": 0.7
}

[2]
{
  "formula": "C3H6O3",
  "method": "wB97M-V/def2-TZVPD",
  "elements": ["O", "O", "O", "C", "C", "C", "H", "H", "H", "H", "H", "H"],
  "xyz": [[1.049, -0.985, -1.239], [0.826, 1.523, -0.225], [-1.896, 0.926, -0.254], [1.184, -0.758, 0.092], [-1.864, -0.242, 0.067], [1.046, 0.458, 0.623], [1.410, -1.651, 0.665], [-0.134, 1.697, -0.257], [-1.434, -1.017, -0.587], [0.962, -0.101, -1.640], [-2.261, -0.581, 1.040], [1.168, 0.660, 1.683]],
  "nbo_charge": [-0.685, -0.736, -0.561, 0.079, 0.292, -0.010, 0.191, 0.504, 0.133, 0.493, 0.117, 0.182],
  "e_above_lowest_ev": 2.389,
  "homo_ev": -9.0,
  "homo_lumo_gap_ha": 0.351,
  "e_tot_ha": -343.5668,
  "largest_force_ev_per_a": 0.5
}

[3]
{
  "formula": "C39H60CaN2O8P2Si2",
  "method": "wB97M-V/def2-TZVPD",
  "elements": ["Ca", "P", "P", "Si", "Si", "O", "O", "O", "O", "O", "O", "O", "O", "N", "N", "C", "C", "C", "C", "C", "C", "C", "C", "C", "C", "C", "C", "C", "C", "C", "C", "C", "C", "C", "C", "C", "C", "C", "C", "C", "C", "C", "C", "C", "C", "C", "C", "C", "C", "C", "C", "C", "C", "C", "H", "H", "H", "H", "H", "H", "H", "H", "H", "H", "H", "H", "H", "H", "H", "H", "H", "H", "H", "H", "H", "H", "H", "H", "H", "H", "H", "H", "H", "H", "H", "H", "H", "H", "H", "H", "H", "H", "H", "H", "H", "H", "H", "H", "H", "H", "H", "H", "H", "H", "H", "H", "H", "H", "H", "H", "H", "H", "H", "H"],
└──

The second interview went well and I was offered the job. My mind had changed and I began to look forward to the job. That August after six months of instability, I started working and we started to find our new normal.

I am still at both of those jobs. They were exactly what we needed for stability. One provides spiritual and emotional support. The other was the source of getting us the medical and financial stability. However, I never thought though I would celebrate 50 in the middle of a worldwide pandemic.

I have learned that God has a plan. He is directing the ship and if you are willing and able to listen he will direct us. He directed my family through the uncertainty of four years ago. He will get us through the pandemic and then through the loss of Joe and again and again we will find a new normal. I have learned a lot about my inner strength and faith in my 40s. I have learned to be more confident and to tackle a situation head on. I have also learned that there are times I just need to lie down and curl up to get the strength to go on.

I have no idea what my 50s will bring. But I look forward to continuing the adventure.

Christmas 2020

Christmas 2020

Surrounded by love

Surrounded by love